Research Objectives Scope, Limitation and Key Assumptions of the Study


1.1.3 Research Questions

In order to create a research, an iron triangle must be made to know the subjects of what research is all about. Iron triangle is made up with three elements, which are the research topic, research questions and research objectives. In this section, I would like to clarify more on the research questions and research objectives. To have further information on consumer learning process in property location selection, I have identified two research questions for this study. The research questions are: 1. Is there any relationship between demographic factors and consumer’s property location selection? 2. Does knowledge acquisition mechanisms and price affects consumer’s property location selection?

1.2 Research Objectives

After the identification of the research questions, research objectives need to be built to help in answering the research questions and also as a guide for this research. It can be used as a guide to developers, buyers, government and certain parties to cope with the property market situation which always booming up. The research objectives are: 1. To study the effect of demographic factors on property location selection. 2. To examine the effect of knowledge acquisition mechanisms and price on consumers property location selection. 7

1.3 Scope, Limitation and Key Assumptions of the Study

Generally, the study is to identify the effect of price and knowledge acquisition mechanism on the selection of property location. Area of study are only around Malacca area. The research was focused to employed people as the major respondents in this study. They are eligible to become as a purchaser because they have their own financial compare to unemployed people. The scope of this research is on property purchasing and focus on residential property only. But, there were always some limitations that would face by researchers. Personally, I have limitations in collecting the data later. Not all purchasers are willing to answer the questionnaires and I have barriers in conducting questionnaires, especially among older purchasers. Thus, I have to create the questions in two languages, English and Bahasa Melayu so that all consumer regardless age group and ethnicity can understand the questions. Apart from that, there was always time limitation to collect data. Collection of data might take for about three weeks to one month if all the questionnaires and interview process are running smoothly. I have approximately nine months to complete this project, thus I need to speed up the process of collecting data so that the data can be analyzed on time. Another limitation on this research is generalizability issue. This research cannot be applied to all states in Malaysia since the research is only conducted in Malacca. Thus, the results obtained not be suitable to be applied in other states and can only be a reference for Malacca area. To facilitate this research and to make as reference materials in the future, I have set the key assumptions for this study. Below is the key assumptions that I will be use: i Knowledge acquisition. ii Price factors and location selection. iii Decision-making process. 8

# Data records that have nothing to do with the text
____________
(1)
ScPtN2F: optimized geometry, GGA-PBE.

```
5
Lattice="3.9463 0.0000 0.0000 0.0000 3.9463 0.0000 0.0000 0.0000 4.2052" Properties=species:S:1:pos:R:3 pbc="T T T"
Sc 0.0000 0.0000 0.0000
Pt 1.9731 1.9731 2.1026
N 0.0000 1.9731 2.1026
N 1.9731 0.0000 2.1026
F 1.9731 1.9731 0.0000
```

Calculated values
uncorrected formation energy: 0.14 eV per atom
VASP energy: -30.19 eV for the cell shown
mass density: 7.28 Mg/m³
total moment: 0.00 μB/atom
distance to the lowest polymorph of the same formula: 0 meV per atom
space-group type: P4/mmm (123)

***

(2)
PtSe2NF: optimized geometry, GGA-PBE.

```
5
Lattice="5.2720 0.0000 0.0000 0.0000 5.2720 0.0000 0.0000 0.0000 3.6281" Properties=species:S:1:pos:R:3 pbc="T T T"
Pt 0.0000 0.0000 0.0000
Se 0.0000 2.6360 0.0000
Se 2.6360 0.0000 0.0000
N 0.0000 0.0000 1.8141
F 2.6360 2.6360 1.8141
```

Calculated values
uncorrected formation energy: 0.64 eV per atom
VASP energy: -20.02 eV for the cell shown
mass density: 6.36 Mg/m³
total moment: 0.38 μB/atom
distance to the lowest polymorph of the same formula: 0 meV per atom
space-group type: P4/mmm (123)

***

(3)
PtSe2NF: optimized geometry, GGA-PBE.

```
5
Lattice="4.6277 0.0000 0.0000 0.0000 4.6277 0.0000 0.0000 0.0000 3.7527" Properties=species:S:1:pos:R:3 pbc="T T T"
Pt 0.0000 0.0000 0.0000
Se 0.0000 2.3139 1.8764
Se 2.3139 0.0000 1.8764
N 2.3139 2.3139 0.0000
F 2.3139 2.3139 1.8764
```

Calculated values
uncorrected formation energy: 1.43 eV per atom
VASP energy: -16.07 eV for the cell shown
mass density: 7.98 Mg/m³
total moment: 0.42 μB/atom
distance to the lowest polymorph of the same formula: 788 meV per atom
space-group type: P4/mmm (123)

~~~~~

Density functional theory data (GGA-PBE) for Pu8GeRu5 after structural relaxation.

abc: 7.289 7.289 7.289
angles: 109.06 109.06 110.29
Positions (direct):
Pu (0.107, 0.369, 0.600)
Pu (0.124, 0.380, 0.113)
Pu (0.267, 0.011, 0.887)
Pu (0.493, 0.893, 0.262)
Pu (0.620, 0.733, 0.744)
Pu (0.631, 0.231, 0.738)
Pu (0.769, 0.507, 0.400)
Pu (0.989, 0.876, 0.256)
Ge (0.500, 0.500, 0.000)
Ru (0.014, 0.626, 0.901)
Ru (0.250, 0.750, 0.500)
Ru (0.374, 0.275, 0.388)
Ru (0.725, 0.113, 0.099)
Ru (0.887, 0.986, 0.612)

Summary:
The space group is No. 82.

***

Density functional theory data (GGA-PBE) for Pu8Ge2Ru after structural relaxation.

abc: 7.703 7.703 6.464
angles: 110.28 110.28 39.78
Positions (direct):
Pu (0.000, 0.000, 0.242)
Pu (0.000, 0.000, 0.758)
Pu (0.152, 0.152, 0.644)
Pu (0.349, 0.349, 0.645)
Pu (0.388, 0.388, 0.054)
Pu (0.612, 0.612, 0.946)
Pu (0.651, 0.651, 0.355)
Pu (0.848, 0.848, 0.356)
Ge (0.199, 0.199, 0.169)
Ge (0.801, 0.801, 0.831)
Ru (0.500, 0.500, 0.500)

Summary:
The space group is No. 12.

***

Density functional theory data (GGA-PBE) for Pu2Ge3Ru after structural relaxation.

abc: 5.570 5.570 6.802
angles: 125.57 125.57 46.76
Positions (direct):
Pu (0.000, 0.000, 0.000)
Pu (0.114, 0.114, 0.603)
Ge (0.381, 0.381, 0.196)
Ge (0.687, 0.687, 0.962)
Ge (0.735, 0.735, 0.406)
Ru (0.379, 0.379, 0.581)

Summary:
____________

1.4 Importance of the Study